Object-oriented modeling of multimedia documents

Thuy-Linh Nguyen, Xindong Wu and Sayed Sajeev

School of Computer Science and Software Engineering, Monash University,
900 Dandenong Road, Caulfield East, VIC 3145, Australia

Thuy.Linh.Nguyen@csse.monash.edu.au, Xindong.Wu@csse.monash.edu.au and

This paper describes an object-oriented model for paper-based multimedia documents such as a textbook with embedded graphics. This model is the first step towards building a manageable authoring system for the Web, in which documents can be easily built, extended, truncated, reordered, assembled and disassembled on a component basis, and the document components can be reused. The model will also make accessible properties which might be significant or important to the user, especially in searching or classifying documents, such as the document title and author. The model design is explained, and the class hierarchy for the model is presented.

Object-orientation; Modeling; Multimedia; Documents

1. Introduction

Electronic publishing has grown enormously since the coming of the World Wide Web. An important characteristic of this new industry is the dynamics of the publication. While the content of paper-based documents is fairly fixed, electronic content can be changed at any time. The current World Wide Web system however, does not provide ways to manage such changes. A document is normally structured, but the Web is not aware of this. The current practice is to either hard code the document components into an HTML source file, or use the file system of a server machine to express it. For instance one might put each component in a separate directory, such as ../mybook/chapter1/ for Chapter1, and and ../mybook/chapter2/ for Chapter2. Changes to a structured document often need to be synchronised among its components. For example, the removal of Chapter1 would require all following chapters to be renumbered, all references to Chapter1 removed, and a new table of contents generated. These maintenance operations are typically carried out manually using commands and tools native to the server machine, ie. orthogonal to the Web [ING95]. If the file system has been used to represent the document structure, manipulations to Web resources are required in both the file system and the Web system, which are essentially two disjoint domains [ING95]. This process is expensive and prone to mistakes and inconsistencies. Its problems are well documented [ING95, GEL97, ING97].

This paper presents a manageable multimedia document model, using the proven object-oriented technology. Documents can be built, extended, truncated, reordered, assembled and disassembled on a component basis, and document components can be reused. The model also makes accessible properties that might be significant or important to the user, especially in searching or classifying documents, such as the document title and author.

The design criteria of the model are completeness, compactness, and simplicity. The model attempts to cover all types of existing paper-based documents. The number of classes, their attributes and methods are kept to the minimum. Generic classes are used wherever possible, distinct document types may be merged into one class, and convenience functions and attributes are ideally kept to none. The system derived from this model is meant to be an open system, ready for use by the public. Implementations of this specification must be easy for general users to carry out. This model is designed for electronic publishing, but is based purely on traditional paper-based publishing. Factors relating to hyperlinks and distributed environments are not covered. It is to be used as the base for integrating traditional publishing into electronic publishing.

2. The Multimedia Document Model (MDM)

2.1. The MDM classes
The MDM model is object-oriented. Figure 1 shows the object diagram of the model, using the Object Modeling Technique (OMT) notation [RUM91]. In this model, a document is decomposed into objects, holding its internal state and a well-defined behaviour. The internal state of an object is defined by a set of attributes and its behaviour by a set of methods.

MDM - Object diagram A document object represents the entirety of a publication, and is constructed by the basic building block of structure. Instances of the document class correspond to the loosest form of publication. It is designed to cover all types of documents in the traditional document system, be it an unbounded draft, letter or bounded journal. The document object can be composed of only structure objects, or some structure objects and some media objects (structured documents), or just media objects (unstructured documents). The only two attributes that require non-null values are contents, as we do not allow empty documents, and title, which is used to enforce that its content is semantically complete, ie. it must not contain just fragments of text or graphics which are not comprehensible to human readers. The title also serves as a mnemonic identifier to human readers, but does not have a significant meaning to the system, and is not required to be unique in any domain.

........
1.
Simulated powder XRD pattern of SmNbO4 for Cu Kα X-rays, from a crystal structure in the Materials Project, relaxed with GGA-PBE.
No peak broadening, texture or thermal motion is included.

Main lines, by angle (5 to 70 degrees two-theta):
| index | 2theta | I (rel.) |
| --- | --- | --- |
| 0 2 1 | 27.85 | 100 |
| 2 2 -1 | 29.11 | 88 |
| 0 4 0 | 31.51 | 23 |
| 2 0 0 | 33.00 | 21 |
| 2 0 -2 | 34.45 | 16 |
| 2 4 0 | 46.28 | 32 |
| 0 0 2 | 46.83 | 16 |
| 2 4 -2 | 47.38 | 28 |
| 0 6 1 | 53.90 | 14 |
| 2 2 1 | 55.12 | 16 |

Crystal structure
abc: 7.298 11.355 5.216
angles: 90.00 131.94 90.00
Space group C2/c (No. 15)
Asymmetric unit:
Sm: 0.000 0.128 0.250 (multiplicity 4)
Nb: 0.000 0.391 0.750 (multiplicity 4)
O: 0.156 0.291 0.659 (multiplicity 8)
O: 0.247 0.467 0.193 (multiplicity 8)



2.
Simulated powder XRD pattern of SrSm2Nb2O9 for Cu Kα X-rays, from a crystal structure in the Materials Project, relaxed with GGA-PBE.
No peak broadening, texture or thermal motion is included.

Main lines, by angle (5 to 70 degrees two-theta):
| index | 2theta | I (rel.) |
| --- | --- | --- |
| 3 1 1 | 24.71 | 18 |
| 5 1 1 | 28.51 | 100 |
| 0 2 0 | 31.93 | 18 |
| 2 0 2 | 32.40 | 12 |
| 10 0 0 | 35.48 | 12 |
| 0 2 2 | 45.54 | 14 |
| 2 2 2 | 46.13 | 14 |
| 10 2 0 | 48.47 | 11 |
| 5 3 1 | 54.82 | 14 |
| 7 1 3 | 57.48 | 13 |

Crystal structure
abc: 25.301 5.606 5.663
angles: 90.00 90.00 90.00
Space group Cmc2_1 (No. 36)
Asymmetric unit:
Sr: 0.000 0.248 0.000 (multiplicity 4)
Sm: 0.205 0.216 0.862 (multiplicity 8)
Nb: 0.084 0.246 0.485 (multiplicity 8)
O: 0.000 0.311 0.459 (multiplicity 4)
O: 0.064 0.022 0.739 (multiplicity 8)
O: 0.091 0.475 0.190 (multiplicity 8)
O: 0.155 0.140 0.488 (multiplicity 8)
O: 0.241 0.496 0.120 (multiplicity 8)



3.
Simulated powder XRD pattern of SrSmTiNbO6 for Cu Kα X-rays, from a crystal structure in the Materials Project, relaxed with GGA-PBE.
No peak broadening, texture or thermal motion is included.

Main lines, by angle (5 to 70 degrees two-theta):
| index | 2theta | I (rel.) |
| --- | --- | --- |
| 1 1 1 | 19.19 | 11 |
| 2 0 0 | 22.20 | 3 |
| 2 2 0 | 31.60 | 100 |
| 3 1 1 | 37.23 | 7 |
| 2 2 2 | 38.95 | 12 |
| 4 0 0 | 45.29 | 34 |
| 3 3 1 | 49.61 | 3 |
| 4 2 2 | 56.27 | 39 |
| 3 3 3 | 60.02 | 2 |
| 4 4 0 | 65.98 | 20 |

Crystal structure
abc: 8.009 8.009 8.009
angles: 90.00 90.00 90.00
Space group F-43m (No. 216)
Asymmetric unit:
Sr: 0.000 0.000 0.000 (multiplicity 4)
Sm: 0.000 0.000 0.500 (multiplicity 4)
Ti: 0.250 0.250 0.250 (multiplicity 4)
Nb: 0.250 0.250 0.750 (multiplicity 4)
O: 0.004 0.250 0.250 (multiplicity 24)

~~~~~

Simulated powder X-ray diffraction pattern
Compound: KH8WN2O3F3
Radiation: CuKα
Structure: a DFT-relaxed cell (GGA+U, Alexandria)
Intensities are scaled so that the largest is 100.

abc: 6.5378 6.4507 6.4661
angles: 60.81 59.48 59.71
Sites, in units of the cell vectors:
K: 0.0000 0.0000 0.0000
H: 0.0257 0.2609 0.4296
H: 0.2089 0.3361 0.1169
H: 0.2609 0.0257 0.2838
H: 0.3361 0.2089 0.3381
........

A structure object, inheriting the aggregation relationship to itself from document, can in turn contain itself recursively. A document is therefore composed of a recursive chain of structure objects, which can be assembled, disassembled, and reordered, allowing for the whole document to be modified, extended, or truncated on a component basis, without losing the coherence of its overall structure. Structure is the generic class for all structural components of a document, such as volumes, parts, chapters, and sections. Our model therefore allows for organisation such as a volume containing several parts, a part containing several chapters, a chapter containing several sections, etc., commonly found in paper-based documents. Since all these structural components share the same properties and behaviour, it is most appropriate to have one single representative class. This design makes the model simpler and more compact. It also gives authors more flexibility when defining their own document since the model does not differentiate between various structural components.

The model also makes available presentation components, by defining them as children classes of structure. A structure object can thus be presented in a number of different formats: text chunk, table, frame, list, reference entry, and article. Text chunk is a sequence of one or more ASCII characters. It is essentially a section of text, with a heading and one or more paragraphs. Table, frame, list, reference entry and article, are all defined in common sense as have been used in the traditional publishing industry. Text chunk is the default presentation for a structure or document object. That is, with reference to Fig. 1, when a structure or document object is resolved to one or more media objects (see Section 2.2 for explanations about document resolution), it will assume a text chunk presentation. If an object of a descendant class of structure is resolved, it will take other presentations according to the class to which it belongs.

Different media types

Media objects hold the real contents that make up the whole system. Their content is unstructured, raw materials that will be used to fill in the document objects or their structural or presentational components. The actual data type of the content will be defined in the offspring classes of media. In the current version of MDM, it can be either text or graphics. This content can be semantically incomplete, ie. not meaningful to human readers. For example, it can be a fragment of text, which is a part of chapter of a book. This semantic incompleteness is reflected in the object design by the fact that no title or heading is required for an object of the media branch. Offspring objects of the media class, representing different media types, can therefore be inserted at arbitrary places in a document object. This concept is applicable to all kinds of media types, although at the moment it is meaningful to the text object only. Consider a chapter in a textbook with an image inserted halfway. If the chapter is defined as one document object, then it must consist of three media objects of two broken text pieces and one graphics (see Fig. 2).

Publication is the generic class for all types of published materials. In real life it generally corresponds to any publication, normally bounded, that can be identified by an international identification number, usually ISBN (International Standard Book Number) or ISSN (International Standard Serials Number). There are more specific classes inherited from Publication, designed to handle other specific features of different document types. All of these classes are designed based on the existing paper-based document system as found in most libraries nowadays. For compactness and simplicity purposes, several library categories are merged into one single class in our model.

Book includes such publications as textbooks, storybooks, manuals (non-references), the Bible, and picture books. A book object normally has only one authorship (with one author and possibly co-authors, but all cooperating in one work) and typically contains items that are closely related to each other. For example, there are normally references to other sections from one section in a textbook. A book is typically a non-collective, non-recursive entity. Some exceptions are the Bible, a book of short stories, a condensed book, etc, which can contain other books.

Serial includes magazines, newspapers, journals, conference proceedings, research reports, bulletins, newsletters, etc. They are published periodically and all have some method for sequential ordering, either by numbers or dates, and their contents are collectively authored. They typically contain a collection of independent writings, each of which is complete and comprehensible without the need to refer to or understand other items in the collection (although they can use other references outside the collection as references). Some examples are articles, technical papers, reports, lecture notes, advertisements, and meeting notices. A collection of serials can be bound into a volume, identified by a volume number.

Reference covers all reference materials, such as dictionaries, handbooks, calendars of events, directories, and reference manuals. They normally contain many reference entries, which can be grouped into sections. Each entry usually consists of a reference term and its explanation or specification. The reference class has a special method, sortEntry().

The design of our model allows the mapping of all existing document types. The book, serial and reference classes cover most library printed materials. The publication and document classes account for any other types, both published and unpublished. Each offspring class of publication is actually a merge of many library categories, and new classes are created only if there are important properties or methods that need to be distinguished between them, such as the issue number for serial objects, or the sortEntry() method for reference objects. The model is thus both complete and compact, since it covers all document types while the number of classes are kept to minimal. Simplicity is achieved by compactness, and also by the fact that the model design is based on the familiar and well-developed traditional paper-based system, with many defacto standards for structural and presentational components. This provides a solid base, making the model robust to changes and simple to use.

2.2. Document resolution
Objects of the document class (and all objects of its offspring classes) are composed of text and graphics objects, which belong to the offspring of the media class. Every object of the document branch must be resolved to one or more objects of the media branch. In other word, the document object can be considered the virtual container of the system contents, holding only references to media objects, which keep the real contents of the system. The need for separating between media and document is to support the three views of the document (see Section 2.3), making both media and structural components accessible. It also allows for media objects, which are pieces of text or graphics to be reused in more than one document. This feature shall reveal an even more important role in the distributed environment, where virtual contents can be distributed.

2.3. Three views of the MDM
In the MDM, a document is viewed in three dimensions: structure, media and presentation.

Entry 1:
Computed powder XRD pattern
Compound: NbSN
Radiation: Cu Kα X-rays
Structure: a structure optimized by DFT (PBE)
Lines closer than 0.1° are merged.

Most intense lines, 2θ = 10–90°, low angle first:
d 6.122, 2θ 14.47, intensity 20
d 3.098, 2θ 28.82, intensity 94
d 2.540, 2θ 35.34, intensity 83
d 2.330, 2θ 38.64, intensity 100
d 1.955, 2θ 46.46, intensity 32
d 1.796, 2θ 50.84, intensity 42
d 1.554, 2θ 59.49, intensity 24
d 1.422, 2θ 65.63, intensity 39

Cell and atoms:
Lattice parameters (Å, degrees): 3.5922 3.5922 6.1223 90.00 90.00 90.00
Sites, in units of the cell vectors:
Nb 0.2500 0.2500 0.1861
Nb 0.7500 0.7500 0.8139
S 0.2500 0.2500 0.6165
S 0.7500 0.7500 0.3835
N 0.2500 0.7500 0.0000
N 0.7500 0.2500 0.0000

Entry 2:
Computed powder XRD pattern
Compound: ScNbN
Radiation: Cu Kα X-rays
Structure: a structure optimized by DFT (PBE)
Lines closer than 0.1° are merged.

Most intense lines, 2θ = 10–90°, low angle first:
d 5.179, 2θ 17.12, intensity 35
d 2.607, 2θ 34.39, intensity 81
d 2.589, 2θ 34.64, intensity 38
d 2.390, 2θ 37.63, intensity 100
d 2.124, 2θ 42.56, intensity 65
d 1.642, 2θ 56.00, intensity 28
d 1.555, 2θ 59.42, intensity 32
d 1.333, 2θ 70.64, intensity 28

Cell and atoms:
Lattice parameters (Å, degrees): 3.1110 3.1110 10.3572 90.00 90.00 120.00
Sites, in units of the cell vectors:
Sc 0.0000 0.0000 0.0000
Sc 0.0000 0.0000 0.5000
Nb 0.3333 0.6667 0.2474
Nb 0.6667 0.3333 0.7526
N 0.3333 0.6667 0.6278
N 0.6667 0.3333 0.3722

Entry 3:
Computed powder XRD pattern
Compound: Nb5Si3N
Radiation: Cu Kα X-rays
Structure: a structure optimized by DFT (PBE)
Lines closer than 0.1° are merged.

Most intense lines, 2θ = 10–90°, low angle first:
d 3.094, 2θ 28.85, intensity 26
d 2.507, 2θ 35.82, intensity 37
d 2.465, 2θ 36.45, intensity 45
d 2.245, 2θ 40.17, intensity 100
d 2.203, 2θ 40.98, intensity 78
d 2.174, 2θ 41.54, intensity 30
d 1.547, 2θ 59.77, intensity 23
d 1.459, 2θ 63.79, intensity 25

Cell and atoms:
Lattice parameters (Å, degrees): 7.5306 7.5306 5.4313 90.00 90.00 120.00
Sites, in units of the cell vectors:
Nb 0.0000 0.2335 0.2500
Nb 0.0000 0.7665 0.7500
Nb 0.2335 0.0000 0.2500
Nb 0.2335 0.2335 0.7500
Nb 0.3333 0.6667 0.0000
Nb 0.3333 0.6667 0.5000
Nb 0.6667 0.3333 0.0000
Nb 0.6667 0.3333 0.5000
Nb 0.7665 0.0000 0.7500
Nb 0.7665 0.7665 0.2500
Si 0.0000 0.4052 0.7500
Si 0.0000 0.5948 0.2500
Si 0.4052 0.0000 0.7500
Si 0.4052 0.4052 0.2500
Si 0.5948 0.0000 0.2500
Si 0.5948 0.5948 0.7500
N 0.0000 0.0000 0.0000
N 0.0000 0.0000 0.5000

Entry 4:
Computed powder XRD pattern
Compound: Sr3Nb2N4
Radiation: Cu Kα X-rays
Structure: a structure optimized by DFT (PBE)
Lines closer than 0.1° are merged.

Most intense lines, 2θ = 10–90°, low angle first:
d 3.387, 2θ 26.31, intensity 58
d 2.962, 2θ 30.17, intensity 52
d 2.926, 2θ 30.56, intensity 100
d 2.824, 2θ 31.68, intensity 57
d 2.638, 2θ 33.98, intensity 46
d 2.584, 2θ 34.72, intensity 30
d 2.375, 2θ 37.88, intensity 24
d 1.662, 2θ 55.27, intensity 44

Cell and atoms:
**So much for the records of crystals**

In the structure view the document is broken up into building blocks, such as volumes, parts, chapters, sections, and paragraphs. The decision of the level of granulity is the result of a tradeoff of two major influencing factors: the simplicity and compactness of the whole system, and the dynamics of the component under consideration. In Fig. 1, the structure view is represented by the generic class structure. This class is defined to cover up to the section level (see Section 2.1). Thus in normal terms we can say that the basic building block of the MDM is section. (Note that in our model the term section has been changed to the generic term structure). This view makes the structural components of the document accessible, allowing for the document to be managed structurally on a component basis (see Section 2.1).

The media dimension accounts for different media types that compose a document, such as text, graphics, sound, and video. Only text and graphics are considered in this system, since it is restricted to the current paper-based document system. Other media types however, can be easily added in the next version of MDM, because of the extensibility characteristic of object-oriented systems. In Fig. 1, the media view is represented by the class media and its offspring classes. This dimension is a necessity in the multimedia environment. As media components are made independent entities, separate from structure components, each can have its own properties and behaviour specific to its media type, and their layout in relation to other objects can be controlled. For example the alignment of a graphics object can be specified relative to other text objects surrounding it with the hAlign and vAlign attributes. The separation of media from document also allows for media objects to be reused in more than one document. This is especially useful in the World Wide Web environment where graphics such as a company logo and a navigation bar, can be included for every Web page. This sense of separation is stronger in the Web, where objects of different media types must be saved in separate files and treated independently, for example, text is stored in text files, and graphics in GIF files.

The presentation view looks at various ways in which information is presented to human readers. Presentation has only limited support in the current version of MDM. Other format and presentation issues are intentionally left out for the next version, or for use of other mechanisms such as the Cascading Style Sheet (CSS) [CSS97]. All the offspring classes of the structure class, table, frame, reference entry, and article, represent the presentation view in our model. The presentation view makes it possible to present structural components in different formats.

In summary, the three dimensions together make the document components accessible in various ways, allowing for the document to be assembled or disassembled structurally, its layout suitably controlled for components of different media types, and various formats can be presented.

3. Related work

There have been several research efforts in the literature on integrating object-orientation into the Web to solve management and maintenance issues, each with its own emphasis on a different perspective. The WebComposition model [GEL97] mentioned above uses databases to hold Web application components, which are non-standard, must be finely defined, and will likely be extended indefinitely for new components. Our model uses only features native to the Web, which does not require high-end tools or systems for authoring and management processes. It defines classes based on the components of standard paper-based document, which are more generic, compact, stable and simple. The W3Object [ING95] on the other hand, encapsulates objects based on their functionalities, not resource components, and must also be extended when new functions are developed. The WebObjects [NEX97] also uses non-native Web systems to manage Web application components. Of the three, our model is more compact, simple, and publicly open, a feature that has won HTML the popularity over the world.

Other related works include the metadata initiatives such as the Dublin Core (DC) [W3C98]. DC and our work are similar in an interesting aspect in that they both use data to describe data. A document object holding information about itself is essentially a set of metadata. DC and MDM however, come from two completely different aspects of software engineering, with two different types of model. MDM also has a broader goal for the management and maintenance of the whole system, not just for resource discovery and cataloging as does the DC.

4. Conclusion

An important characteristic of electronic publishing is the constant changes of contents. Information about content design and structure however, is often hard coded in the document or inappropriately represented by the underlying file system on which the document is housed. As a result, the maintenance of these resources is expensive, difficult and error prone. Our MDM model addresses these issues by making accessible the structural, presentational and media components of a multimedia document, allowing for the document to be presented, managed and maintained on a component basis. Integrated into the World Wide Web, it will provide an information management and maintenance layer that the current Web system lacks. It can be implemented as a servelet operating inside the http server, transparent to the Web, which can take MDM objects and generate HTML code. This approach has proved workable in a similar project, WebComposition model [GEL97]. Alternatively we can make browsers to parse and render MDM objects directly, eliminating the use of a large part of HTML code embedded in Web resources.

[RUM91] Rumbaugh, J., Object-Oriented Modeling and Design, Prentice Hall, 1991.

[CSS97] Cascading Stylesheet (CSS2) Specification, W3C Working Draft, 1997, http://www.w3.org/Style/

[GEL97] Gellersen, H.-W. et al., WebComposition: an object-oriented support system for the Web engineering lifecycle, in: Proc. WWW6 International Conference, 1997, http://www6.nttlabs.com/HyperNews/get/PAPER232.html

[ING95] Ingham, D.B. et al., Bringing object oriented technology to the Web, in: Proc. WWW4 International Conference, 1995, http://w3objects.ncl.ac.uk/pubs/bootw/; also at http://www.w3.org/pub/Conferences/WWW4/Papers2/141/

[ING97] Ingham, D.B. et al., Supporting highly manageable Web services, in: Proc. WWW6 International Conference, 1997, http://w3objects.ncl.ac.uk/pubs/shmws/; also at http://proceedings.www6conf.org/HyperNews/get/PAPER27.html

[NEX97] WebObjects, http://www.apple.com/webobjects/

[W3C98] W3 Consortium, http://www.w3.org/